To do =
Transcribe the whole of the rows further below character by character.

Given =
+++
(1)
For Ti3Ga2Pt2, a DFT-relaxed cell (PBE, Alexandria) gives the simulated powder diffraction line list in this record (Cu Kα X-rays).
Lines closer than 0.1° are merged.

Peak list (10 most intense, 15° ≤ 2θ ≤ 90°, in order of falling intensity)
| 2theta | I (rel.) |
| --- | --- |
| 40.81 | 100 |
| 25.59 | 65 |
| 38.94 | 64 |
| 48.57 | 50 |
| 42.43 | 49 |
| 19.61 | 47 |
| 31.34 | 40 |
| 42.75 | 40 |
| 55.69 | 35 |
| 34.40 | 34 |

Atomic structure:
```
Ti3Ga2Pt2
1.0
-1.445 2.131 9.053
1.445 -2.131 9.053
1.445 2.131 -9.053
Ti Ga Pt
3 2 2
Direct
0.000 0.000 0.000
0.298 0.798 0.500
0.702 0.202 0.500
0.432 0.432 0.000
0.568 0.568 0.000
0.150 0.650 0.500
0.850 0.350 0.500
```

***

(2)
For Pu3BN6, a DFT-relaxed cell (PBE, Alexandria) gives the simulated powder diffraction line list in this record (Cu Kα X-rays).
Lines closer than 0.1° are merged.

Peak list (10 most intense, 15° ≤ 2θ ≤ 90°, in order of falling intensity)
| 2theta | I (rel.) |
| --- | --- |
| 31.60 | 100 |
| 21.99 | 34 |
| 31.82 | 29 |
| 32.33 | 20 |
| 48.63 | 20 |
| 49.11 | 17 |
| 35.95 | 16 |
| 51.77 | 13 |
| 23.99 | 13 |
| 61.37 | 12 |

Atomic structure:
```
Pu3BN6
1.0
4.387 -5.538 0.000
4.387 5.538 0.000
0.000 0.000 4.997
Pu B N
6 2 12
Direct
0.109 0.891 0.500
0.196 0.424 0.468
0.424 0.196 0.968
0.576 0.804 0.468
0.804 0.576 0.968
0.891 0.109 0.000
0.302 0.698 0.900
0.698 0.302 0.400
0.091 0.623 0.765
0.141 0.177 0.732
0.177 0.141 0.232
0.292 0.708 0.224
0.377 0.909 0.765
0.434 0.566 0.773
0.566 0.434 0.273
0.623 0.091 0.265
0.708 0.292 0.724
0.823 0.859 0.732
0.859 0.823 0.232
0.909 0.377 0.265
```

***

(3)
For SrH6PdPt, a DFT-relaxed cell (PBE, Alexandria) gives the simulated powder diffraction line list in this record (Cu Kα X-rays).
Lines closer than 0.1° are merged.

Peak list (10 most intense, 15° ≤ 2θ ≤ 90°, in order of falling intensity)
| 2theta | I (rel.) |
| --- | --- |
| 28.38 | 100 |
| 35.84 | 64 |
| 54.39 | 40 |
| 19.46 | 31 |
| 41.10 | 27 |
| 46.33 | 26 |
| 59.92 | 24 |
| 20.46 | 16 |
| 39.50 | 16 |
| 78.25 | 14 |

Atomic structure:
```
SrH6PdPt
1.0
5.012 0.000 0.000
-2.506 4.340 0.000
0.000 0.000 4.563
Sr H Pd Pt
1 6 1 1
Direct
0.000 0.000 0.000
0.419 0.020 0.709
0.419 0.399 0.291
0.601 0.020 0.291
0.601 0.581 0.709
0.980 0.399 0.709
0.980 0.581 0.291
0.333 0.667 0.500
0.667 0.333 0.500
```

***

(4)
For LaY2TmTh, a DFT-relaxed cell (PBE, Alexandria) gives the simulated powder diffraction line list in this record (Cu Kα X-rays).
Lines closer than 0.1° are merged.

Peak list (10 most intense, 15° ≤ 2θ ≤ 90°, in order of falling intensity)
| 2theta | I (rel.) |
| --- | --- |
| 31.56 | 100 |
| 20.25 | 26 |
| 61.24 | 16 |
| 34.53 | 15 |
| 56.24 | 15 |
| 36.30 | 13 |
| 32.54 | 13 |
| 37.83 | 11 |
| 43.23 | 11 |
| 18.65 | 11 |

Atomic structure:
```
LaY2TmTh
1.0
3.533 0.000 0.000
0.000 5.662 0.000
0.000 0.000 8.770
La Y Tm Th
1 2 1 1
Direct
0.000 0.000 0.000
0.000 0.500 0.322
0.000 0.500 0.678
0.500 0.000 0.500
0.500 0.500 0.000
```

***

(5)
For ErZn4Ag8, a DFT-relaxed cell (PBE, Alexandria) gives the simulated powder diffraction line list in this record (Cu Kα X-rays).
Lines closer than 0.1° are merged.

Peak list (10 most intense, 15° ≤ 2θ ≤ 90°, in order of falling intensity)
| 2theta | I (rel.) |
| --- | --- |
| 38.69 | 100 |
| 33.39 | 50 |
| 38.52 | 47 |
| 39.19 | 44 |
| 43.89 | 39 |
| 33.96 | 26 |
| 69.80 | 24 |
| 63.93 | 22 |
| 70.14 | 22 |
| 43.44 | 17 |

Atomic structure:
```
ErZn4Ag8
1.0
-4.674 4.674 2.640
4.674 -4.674 2.640
4.674 4.674 -2.640
Er Zn Ag
1 4 8
Direct
0.000 0.000 0.000
0.000 0.000 0.500
0.000 0.500 0.000
0.500 0.000 0.000
0.500 0.500 0.500
0.000 0.345 0.345
0.000 0.655 0.655
0.286 0.500 0.786
0.345 0.000 0.345
0.500 0.286 0.786
0.500 0.714 0.214
0.655 0.000 0.655
0.714 0.500 0.214
```

***

(6)
For Ac3AlZn6Ga2, a DFT-relaxed cell (PBE, Alexandria) gives the simulated powder diffraction line list in this record (Cu Kα X-rays).
Lines closer than 0.1° are merged.
+++

Completed =
(1)
For Ti3Ga2Pt2, a DFT-relaxed cell (PBE, Alexandria) gives the simulated powder diffraction line list in this record (Cu Kα X-rays).
Lines closer than 0.1° are merged.

Peak list (10 most intense, 15° ≤ 2θ ≤ 90°, in order of falling intensity)
| 2theta | I (rel.) |
| --- | --- |
| 40.81 | 100 |
| 25.59 | 65 |
| 38.94 | 64 |
| 48.57 | 50 |
| 42.43 | 49 |
| 19.61 | 47 |
| 31.34 | 40 |
| 42.75 | 40 |
| 55.69 | 35 |
| 34.40 | 34 |

Atomic structure:
```
Ti3Ga2Pt2
1.0
-1.445 2.131 9.053
1.445 -2.131 9.053
1.445 2.131 -9.053
Ti Ga Pt
3 2 2
Direct
0.000 0.000 0.000
0.298 0.798 0.500
0.702 0.202 0.500
0.432 0.432 0.000
0.568 0.568 0.000
0.150 0.650 0.500
0.850 0.350 0.500
```

***

(2)
For Pu3BN6, a DFT-relaxed cell (PBE, Alexandria) gives the simulated powder diffraction line list in this record (Cu Kα X-rays).
Lines closer than 0.1° are merged.

Peak list (10 most intense, 15° ≤ 2θ ≤ 90°, in order of falling intensity)
| 2theta | I (rel.) |
| --- | --- |
| 31.60 | 100 |
| 21.99 | 34 |
| 31.82 | 29 |
| 32.33 | 20 |
| 48.63 | 20 |
| 49.11 | 17 |
| 35.95 | 16 |
| 51.77 | 13 |
| 23.99 | 13 |
| 61.37 | 12 |

Atomic structure:
```
Pu3BN6
1.0
4.387 -5.538 0.000
4.387 5.538 0.000
0.000 0.000 4.997
Pu B N
6 2 12
Direct
0.109 0.891 0.500
0.196 0.424 0.468
0.424 0.196 0.968
0.576 0.804 0.468
0.804 0.576 0.968
0.891 0.109 0.000
0.302 0.698 0.900
0.698 0.302 0.400
0.091 0.623 0.765
0.141 0.177 0.732
0.177 0.141 0.232
0.292 0.708 0.224
0.377 0.909 0.765
0.434 0.566 0.773
0.566 0.434 0.273
0.623 0.091 0.265
0.708 0.292 0.724
0.823 0.859 0.732
0.859 0.823 0.232
0.909 0.377 0.265
```

***

(3)
For SrH6PdPt, a DFT-relaxed cell (PBE, Alexandria) gives the simulated powder diffraction line list in this record (Cu Kα X-rays).
Lines closer than 0.1° are merged.

Peak list (10 most intense, 15° ≤ 2θ ≤ 90°, in order of falling intensity)
| 2theta | I (rel.) |
| --- | --- |
| 28.38 | 100 |
| 35.84 | 64 |
| 54.39 | 40 |
| 19.46 | 31 |
| 41.10 | 27 |
| 46.33 | 26 |
| 59.92 | 24 |
| 20.46 | 16 |
| 39.50 | 16 |
| 78.25 | 14 |

Atomic structure:
```
SrH6PdPt
1.0
5.012 0.000 0.000
-2.506 4.340 0.000
0.000 0.000 4.563
Sr H Pd Pt
1 6 1 1
Direct
0.000 0.000 0.000
0.419 0.020 0.709
0.419 0.399 0.291
0.601 0.020 0.291
0.601 0.581 0.709
0.980 0.399 0.709
0.980 0.581 0.291
0.333 0.667 0.500
0.667 0.333 0.500
```

***

(4)
For LaY2TmTh, a DFT-relaxed cell (PBE, Alexandria) gives the simulated powder diffraction line list in this record (Cu Kα X-rays).
Lines closer than 0.1° are merged.

Peak list (10 most intense, 15° ≤ 2θ ≤ 90°, in order of falling intensity)
| 2theta | I (rel.) |
| --- | --- |
| 31.56 | 100 |
| 20.25 | 26 |
| 61.24 | 16 |
| 34.53 | 15 |
| 56.24 | 15 |
| 36.30 | 13 |
| 32.54 | 13 |
| 37.83 | 11 |
| 43.23 | 11 |
| 18.65 | 11 |

Atomic structure:
```
LaY2TmTh
1.0
3.533 0.000 0.000
0.000 5.662 0.000
0.000 0.000 8.770
La Y Tm Th
1 2 1 1
Direct
0.000 0.000 0.000
0.000 0.500 0.322
0.000 0.500 0.678
0.500 0.000 0.500
0.500 0.500 0.000
```

***

(5)
For ErZn4Ag8, a DFT-relaxed cell (PBE, Alexandria) gives the simulated powder diffraction line list in this record (Cu Kα X-rays).
Lines closer than 0.1° are merged.

Peak list (10 most intense, 15° ≤ 2θ ≤ 90°, in order of falling intensity)
| 2theta | I (rel.) |
| --- | --- |
| 38.69 | 100 |
| 33.39 | 50 |
| 38.52 | 47 |
| 39.19 | 44 |
| 43.89 | 39 |
| 33.96 | 26 |
| 69.80 | 24 |
| 63.93 | 22 |
| 70.14 | 22 |
| 43.44 | 17 |

Atomic structure:
```
ErZn4Ag8
1.0
-4.674 4.674 2.640
4.674 -4.674 2.640
4.674 4.674 -2.640
Er Zn Ag
1 4 8
Direct
0.000 0.000 0.000
0.000 0.000 0.500
0.000 0.500 0.000
0.500 0.000 0.000
0.500 0.500 0.500
0.000 0.345 0.345
0.000 0.655 0.655
0.286 0.500 0.786
0.345 0.000 0.345
0.500 0.286 0.786
0.500 0.714 0.214
0.655 0.000 0.655
0.714 0.500 0.214
```

***

(6)
For Ac3AlZn6Ga2, a DFT-relaxed cell (PBE, Alexandria) gives the simulated powder diffraction line list in this record (Cu Kα X-rays).
Lines closer than 0.1° are merged.